Stroll now in the pictures' forest, far from the roaring stream of time. But do'nt forget it to return, when an owl's call heralds the beginning night.

Paintings by artist Ulrich Perret from Wiesbaden, Germany
The sale with price information will start soon. But you are welcome to reserve a painting already.
If you of the pictures and poems, one or the other pleases you, let me know. Because that is the beautiful of the medium, to hear it from afar from an unknown mouth. And if you are a woman, then it is, it is as if you bestow your grace.
All paintings in this online gallery are hand-painted uniques on thin natural wood panels. It is a very special style: With dissolved oxide concentrates, acrylics and penetrable pigments undiluted, but applied some times and in different ways. Slowly drying they penetrate each other as directed puddles only on the picture. Surfaces should not cover it as layers, but rather slowly seeping shall arise. Often my best friend, chance, does help.
For an expression becomes unusual only if in the core not quite foreseen. In between there's a lot of meditating, what might become of the picture, and finally really brush painting, but only slightly invasive. Sometimes I painted both sides, When you turn it over, it becomes a different picture. So you can vary the aura of the rooms.
Picture and Ambiance
The art pictures are mostly figural, their surface, the structure innovative modern, so that they often also could convince as an abstract picture. That's why the paintings harmoniously fit into an ambiance of tradition and modernity, in an apartment, meeting room, canteen, waiting room, entrance or office.
most pictures are in elegant portrait format, some are also wide in landscape format. Mostly the colors penetrate each other but unlike to a mixture are still to recognize as single colors. Regarding canvas prints I mention, that thanks to their structure it is less conspicuous that they are not original.
### These data records were left in the piece by mistake
'''
Entry 1:
# meta-GGA r2SCAN EuFeGe2O7, optimized geometry
# ΔE_f = -2.10 eV per atom
data_EuFeGe2O7
_chemical_formula_sum 'Eu4 Fe4 Ge8 O28'
_cell_length_a 7.2542
_cell_length_b 6.6057
_cell_length_c 12.9203
_cell_angle_alpha 90.00
_cell_angle_beta 117.28
_cell_angle_gamma 90.00
_space_group_name_H-M_alt 'P 1 21/c 1'
_space_group_IT_number 14
_space_group_name_Hall '-P 2ybc'
loop_
_atom_site_label
_atom_site_fract_x
_atom_site_fract_y
_atom_site_fract_z
_atom_site_occupancy
Eu1 0.2412 0.1456 0.4768 1
Fe1 0.2090 0.1003 0.7308 1
Ge1 0.2160 0.6583 0.4586 1
Ge2 0.3006 0.5887 0.7226 1
O1 0.0098 0.6658 0.9241 1
O2 0.1574 0.6860 0.1917 1
O3 0.2027 0.0515 0.8734 1
O4 0.2195 0.1136 0.2796 1
O5 0.2575 0.5058 0.5809 1
O6 0.4081 0.6737 0.9761 1
O7 0.4303 0.1226 0.6927 1



Entry 2:
# meta-GGA r2SCAN BaSi12Pt5, optimized geometry
# ΔE_f = -0.50 eV per atom
data_BaSi12Pt5
_chemical_formula_sum 'Ba4 Si48 Pt20'
_cell_length_a 6.1426
_cell_length_b 32.5970
_cell_length_c 6.1213
_cell_angle_alpha 90.00
_cell_angle_beta 90.20
_cell_angle_gamma 90.00
_space_group_name_H-M_alt 'C 1 2/m 1'
_space_group_IT_number 12
_space_group_name_Hall '-C 2y'
loop_
_atom_site_label
_atom_site_fract_x
_atom_site_fract_y
_atom_site_fract_z
_atom_site_occupancy
Ba1 0.0000 0.1247 0.0000 1
Si1 0.0015 0.3612 0.2188 1
Si2 0.1363 0.2212 0.8660 1
Si3 0.1379 0.2831 0.6304 1
Si4 0.2188 0.1383 0.5006 1
Si5 0.2464 0.4600 0.2530 1
Si6 0.2468 0.4600 0.7474 1
Pt1 0.0000 0.0000 0.0000 1
Pt2 0.0000 0.0755 0.5000 1
Pt3 0.0000 0.2027 0.5000 1
Pt4 0.0000 0.2960 0.0000 1
Pt5 0.0000 0.4241 0.0000 1
Pt6 0.0000 0.5000 0.5000 1



Entry 3:
# meta-GGA r2SCAN LiYSe2, optimized geometry
# ΔE_f = -1.97 eV per atom
data_LiYSe2
_chemical_formula_sum 'Li3 Y3 Se6'
_cell_length_a 4.0593
_cell_length_b 4.0593
_cell_length_c 19.3617
_cell_angle_alpha 90.00
_cell_angle_beta 90.00
_cell_angle_gamma 120.00
_space_group_name_H-M_alt 'R -3 m'
_space_group_IT_number 166
_space_group_name_Hall '-R 3 2"'
loop_
_atom_site_label
_atom_site_fract_x
_atom_site_fract_y
_atom_site_fract_z
_atom_site_occupancy
Li1 0.0000 0.0000 0.0000 1
Y1 0.0000 0.0000 0.5000 1
Se1 0.0000 0.0000 0.2511 1



Entry 4:
# meta-GGA r2SCAN Li2GeF6, optimized geometry
# ΔE_f = -2.95 eV per atom
# E above lowest polymorph = 0.5 kJ/mol of atoms
data_Li2GeF6
_chemical_formula_sum 'Li6 Ge3 F18'
_cell_length_a 8.3334
_cell_length_b 8.3334
_cell_length_c 4.5355
_cell_angle_alpha 90.00
_cell_angle_beta 90.00
_cell_angle_gamma 120.00
_space_group_name_H-M_alt 'P 3 2 1'
_space_group_IT_number 150
_space_group_name_Hall 'P 3 2"'
loop_
_atom_site_label
_atom_site_fract_x
_atom_site_fract_y
_atom_site_fract_z
_atom_site_occupancy
Li1 0.0000 0.3655 0.0000 1
Li2 0.0000 0.7002 0.5000 1
Ge1 0.0000 0.0000 0.0000 1
Ge2 0.3333 0.6667 0.4900 1
F1 0.0972 0.2069 0.2233 1
F2 0.1271 0.5783 0.2649 1
F3 0.2224 0.4595 0.7142 1



Entry 5:
# meta-GGA r2SCAN V4OF11, optimized geometry
# ΔE_f = -3.17 eV per atom
# E above lowest polymorph = 0.3 kJ/mol of atoms
data_V4OF11
'''
To each picture there is a 'Story', in a diction somewhat lyrical. Sometimes a real story. Then just a simple verse, often bumpy, and for that I beg your pardon. Sometimes the expression is poetical, sometimes the motif is bizarrely dumbed. But the images are strong enough to bear it with a smile.
Image Text
Under the story there's usually a text, in which the painter writes his thoughts about the picture in case he thought anything at all. It's mostly explanatory to the picture, on technique, expression, interpretation. But primarily it serves for search words, that the text must contain, and that one cannot press into the story-poetry without destroying it.
-- Between two parts of the piece: crystal structures --
+++
# Sr20P12BrCl3O48 GGA-PBE optimized geometry
# - calculated formation energy (eV per atom) = -3.294
# - crystal system = trigonal
# - magnetic moment (μB per atom) = 0.000
data_Sr20P12BrCl3O48
_cell_length_a 10.0399
_cell_length_b 10.0399
_cell_length_c 14.5470
_cell_angle_alpha 90.00
_cell_angle_beta 90.00
_cell_angle_gamma 120.00
_space_group_name_H-M_alt 'P -3'
_space_group_IT_number 147
loop_
_space_group_symop_operation_xyz
'x,y,z'
'-x,-y,-z'
'-y,x-y,z'
'y,-x+y,-z'
'-x+y,-x,z'
'x-y,x,-z'
loop_
_atom_site_label
_atom_site_type_symbol
_atom_site_fract_x
_atom_site_fract_y
_atom_site_fract_z
Sr1 Sr 0.0066 0.2578 0.3750
Sr2 Sr 0.0069 0.2601 0.8739
Sr3 Sr 0.3333 0.6667 0.9997
Sr4 Sr 0.3333 0.6667 0.2504
Sr5 Sr 0.3333 0.6667 0.4996
Sr6 Sr 0.3333 0.6667 0.7504
P1 P 0.0338 0.4072 0.1250
P2 P 0.0337 0.4073 0.6249
Br1 Br 0.0000 0.0000 0.0000
Cl1 Cl 0.0000 0.0000 0.2505
Cl2 Cl 0.0000 0.0000 0.5000
O1 O 0.0853 0.3539 0.2115
O2 O 0.0853 0.3539 0.5385
O3 O 0.0854 0.3540 0.7114
O4 O 0.0856 0.3546 0.0384
O5 O 0.1223 0.5875 0.1251
O6 O 0.1221 0.5875 0.6250
O7 O 0.1437 0.6581 0.3750
O8 O 0.1436 0.6579 0.8749

* * * * *

[1]
## Li6V3P8O29 (PBE+U)

Data for Li6V3P8O29 after structural relaxation.

```
data_Li6V3P8O29
_chemical_formula_sum 'Li12 V6 P16 O58'
_symmetry_space_group_name_H-M 'P 1'
_symmetry_Int_Tables_number 1
_cell_length_a 9.8292
_cell_length_b 9.8315
_cell_length_c 13.8965
_cell_angle_alpha 89.87
_cell_angle_beta 89.78
_cell_angle_gamma 60.10
loop_
_symmetry_equiv_pos_as_xyz
'x,y,z'
loop_
_atom_site_label
_atom_site_type_symbol
_atom_site_fract_x
_atom_site_fract_y
_atom_site_fract_z
Li1 Li 0.0000 0.0000 0.0000
Li2 Li 0.0005 0.9982 0.4992
Li3 Li 0.0088 0.5544 0.9410
Li4 Li 0.0113 0.4204 0.4444
Li5 Li 0.1020 0.6456 0.3213
Li6 Li 0.2391 0.6472 0.8219
Li7 Li 0.4203 0.0114 0.9444
Li8 Li 0.4235 0.5576 0.4429
Li9 Li 0.5546 0.0072 0.4418
Li10 Li 0.5582 0.4276 0.9434
Li11 Li 0.6445 0.1052 0.8212
Li12 Li 0.6470 0.2382 0.3216
V1 V 0.3280 0.9032 0.1373
V2 V 0.3320 0.7658 0.6325
V3 V 0.7598 0.8983 0.6352
V4 V 0.7622 0.3335 0.1355
V5 V 0.8938 0.7627 0.1324
V6 V 0.9002 0.3311 0.6378
P1 P 0.0108 0.5620 0.7241
P2 P 0.0139 0.4146 0.2282
P3 P 0.0994 0.2433 0.0407
P4 P 0.0986 0.6518 0.5395
P5 P 0.2405 0.6514 0.0404
P6 P 0.2427 0.1024 0.5418
P7 P 0.4144 0.0130 0.7280
P8 P 0.4155 0.5643 0.2250
P9 P 0.5605 0.0112 0.2256
P10 P 0.5607 0.4188 0.7257
P11 P 0.6495 0.1018 0.0418
P12 P 0.6513 0.2408 0.5415
P13 P 0.6599 0.6666 0.0093
P14 P 0.6636 0.6626 0.5096
P15 P 0.9942 0.9963 0.2566
P16 P 0.9965 0.9968 0.7567
O1 O 0.0001 0.1407 0.7134
O2 O 0.0756 0.2496 0.5423
O3 O 0.0768 0.6662 0.0388
O4 O 0.0811 0.3342 0.3205
O5 O 0.0829 0.5737 0.4509
O6 O 0.0859 0.5775 0.8144
O7 O 0.0901 0.3393 0.9561
O8 O 0.1193 0.5429 0.6323
O9 O 0.1216 0.3226 0.1377
O10 O 0.1381 0.0005 0.2125
O11 O 0.1459 0.8440 0.7167
O12 O 0.2189 0.9574 0.5564
O13 O 0.2213 0.8160 0.0560
O14 O 0.2470 0.0777 0.0411
O15 O 0.2483 0.6645 0.5384
O16 O 0.3222 0.1242 0.6378
O17 O 0.3262 0.5746 0.3155
+++
-- The crystal structures stop here --
Painting and Apartment
Beautiful paintings carry beauty in your rooms. Living room paintings make their mark on style. A large mural should fit in the format. Or choose a picture wall of small paintings! High and narrow could give a touch of elegance. More to discover is then on the wall. Wait when buying paintings till you really find what pleases. This applies also to my paintings.
Whether romantic painting, mythical or funny, acrylic or oil painting, it's your choice. Create life instead only streamline elegance. Art paintings in the office, however, should blend in discreetly. As modern pictures they may also be stylish as art print or canvas print, representative but only as an original and unique.
The empty subject
Online and contemporary, that’s what I’m anyway. So I try when painting not to be so too much and to choose the subject figurally. But so I'm vulnerable, because the figure, it might fail.
From the suspicion of hobby painting one escapes as an artist best and comfortably, by renouncing at all a picture motif. The roaring stag on the other hand, can at least fail and one recognizes, whether it's well painted.
The emperor's new clothes
An expert will beware to praise a lawn mower that does not work at all, With art it is quite different. With well-known painters, the whole thing anyway is nothing but a label trade. The object doesn't matter.
Much is determined by committees, and modern art museums, of which, as pointless as it is, new ones are built all the time. They live from the administrative, but today undeserved equality of arts,